Data.
<<<
Entry 1:
Here is a relaxed structure of BaHgOs2 from the Alexandria database. Energies are from PBE.

Cell: 3.0114 5.2460 10.6128 Å, 90.00 90.00 90.00°
With the nearest neighbours (Å) after each atom.
Fractional coordinates of all 8 atoms:
Ba  0.0000  0.0000  0.0000  2 Ba 3.01, 4 Hg 3.02, 4 Os 3.27
Ba  0.5000  0.5000  0.5000  2 Ba 3.01, 4 Hg 3.02, 4 Os 3.27
Hg  0.0000  0.0000  0.5000  4 Os 2.84, 2 Hg 3.01, 4 Ba 3.02
Hg  0.5000  0.5000  0.0000  4 Os 2.84, 2 Hg 3.01, 4 Ba 3.02
Os  0.0000  0.5000  0.2264  2 Hg 2.84, 6 Os 3.01-3.07
Os  0.0000  0.5000  0.7736  2 Hg 2.84, 6 Os 3.01-3.07
Os  0.5000  0.0000  0.2736  2 Hg 2.84, 6 Os 3.01-3.07
Os  0.5000  0.0000  0.7264  2 Hg 2.84, 6 Os 3.01-3.07

Output
Spin magnetization, μB per formula unit: 0.00
Calculated density, kg/m3: 14230
DFT formation energy, meV per atom: 1293

Entry 2:
Here is a relaxed structure of Hg3Sb2H2 from the Alexandria database. Energies are from PBE.

Cell: 6.9746 3.1961 7.2992 Å, 90.00 97.95 90.00°
With the nearest neighbours (Å) after each atom.
Fractional coordinates of all 7 atoms:
Hg  0.0000  0.0000  0.0000  2 H 1.69
Hg  0.2070  0.5000  0.5682  2 H 2.53
Hg  0.7930  0.5000  0.4318  2 H 2.53
Sb  0.4256  0.5000  0.1785  3 Sb 2.94-3.20, 1 Hg 2.95
Sb  0.5744  0.5000  0.8215  3 Sb 2.94-3.20, 1 Hg 2.95
H  0.0858  0.0000  0.7946  1 Hg 1.69
H  0.9142  0.0000  0.2054  1 Hg 1.69

Output
Spin magnetization, μB per formula unit: 0.00
Calculated density, kg/m3: 8731
Uncorrected energy, eV per cell: -14.4

Entry 3:
Here is a relaxed structure of Ta2ZnHg from the Alexandria database. Energies are from PBE.

Cell: 3.0771 4.9614 9.4512 Å, 90.00 90.00 90.00°
With the nearest neighbours (Å) after each atom.
Fractional coordinates of all 8 atoms:
Ta  0.0000  0.0000  0.0000  2 Zn 2.78, 4 Ta 2.80-3.08, 4 Hg 2.92
Ta  0.0000  0.5000  0.2530  4 Ta 2.80-3.08, 4 Zn 2.92, 2 Hg 2.97
Ta  0.5000  0.0000  0.7530  4 Ta 2.80-3.08, 4 Zn 2.92, 2 Hg 2.97
Ta  0.5000  0.5000  0.5000  2 Zn 2.78, 4 Ta 2.80-3.08, 4 Hg 2.92
Zn  0.0000  0.5000  0.7455  2 Hg 2.73, 6 Ta 2.78-2.92
Zn  0.5000  0.0000  0.2455  2 Hg 2.73, 6 Ta 2.78-2.92
Hg  0.0000  0.0000  0.4844  2 Zn 2.73, 6 Ta 2.92-2.97
Hg  0.5000  0.5000  0.9844  2 Zn 2.73, 6 Ta 2.92-2.97

Output
Spin magnetization, μB per formula unit: 0.00
E above lowest polymorph, meV/atom: 164
Calculated density, kg/m3: 14452
DFT formation energy, meV per atom: 298

Entry 4:
Here is a relaxed structure of CrIn4Cl from the Alexandria database. Energies are from PBE.

Cell: 6.1080 6.1080 6.1080 Å, 60.00 60.00 60.00°
With the nearest neighbours (Å) after each atom.
Fractional coordinates of all 6 atoms:
Cr  0.0000  0.0000  0.0000  12 In 3.58, 4 Cl 3.74
In  0.1244  0.6252  0.6252  6 In 3.05-3.06
In  0.6252  0.1244  0.6252  6 In 3.05-3.06
In  0.6252  0.6252  0.1244  6 In 3.05-3.06
In  0.6252  0.6252  0.6252  6 In 3.05-3.06
Cl  0.2500  0.2500  0.2500  12 In 3.58, 4 Cr 3.74

Output
Spin magnetization, μB per formula unit: 4.54
Uncorrected formation energy, meV per atom: 283
Calculated density, kg/m3: 5634

* * * * *

Computed, not measured: crystalline HfSiMo at its relaxed geometry at the PBE level of DFT.

For the polymorph energy (0 for the lowest one), the calculation gives 102.1 meV/atom. Its density is 10.05 g/cm³.

The space group is Pmma (No. 51) and the conventional cell measures 12.1918, 3.5103 and 7.0108 Å, with angles of 90.00, 90.00 and 90.00 degrees. The asymmetric unit holds Hf at (0.0520, 0.0000, 0.2481), Hf at (0.2500, 0.0000, 0.6613), Si at (0.0935, 0.5000, 0.5595), Si at (0.2500, 0.0000, 0.0507), Mo at (0.1187, 0.5000, 0.9284) and Mo at (0.2500, 0.5000, 0.3084).

* * * * *

First-principles (SCAN) data for a crystal of AgPt4 relaxed with PBEsol, as listed in Alexandria.

Results
Uncorrected energy ... -62.38 eV per atom
Size of the total moment ... 0.17 μB per formula unit
Formation energy ... 0.05 eV per atom

Unit cell a=2.745 b=4.824 c=6.294 alpha=74.43 beta=77.41 gamma=73.47
Element x y z (fractional)
Pt (0.396, 0.799, 0.408)
Pt (0.197, 0.407, 0.198)
>>>

To do.
The reader should quote all of the block further up character by character.

Worked solution.
Entry 1:
Here is a relaxed structure of BaHgOs2 from the Alexandria database. Energies are from PBE.

Cell: 3.0114 5.2460 10.6128 Å, 90.00 90.00 90.00°
With the nearest neighbours (Å) after each atom.
Fractional coordinates of all 8 atoms:
Ba  0.0000  0.0000  0.0000  2 Ba 3.01, 4 Hg 3.02, 4 Os 3.27
Ba  0.5000  0.5000  0.5000  2 Ba 3.01, 4 Hg 3.02, 4 Os 3.27
Hg  0.0000  0.0000  0.5000  4 Os 2.84, 2 Hg 3.01, 4 Ba 3.02
Hg  0.5000  0.5000  0.0000  4 Os 2.84, 2 Hg 3.01, 4 Ba 3.02
Os  0.0000  0.5000  0.2264  2 Hg 2.84, 6 Os 3.01-3.07
Os  0.0000  0.5000  0.7736  2 Hg 2.84, 6 Os 3.01-3.07
Os  0.5000  0.0000  0.2736  2 Hg 2.84, 6 Os 3.01-3.07
Os  0.5000  0.0000  0.7264  2 Hg 2.84, 6 Os 3.01-3.07

Output
Spin magnetization, μB per formula unit: 0.00
Calculated density, kg/m3: 14230
DFT formation energy, meV per atom: 1293

Entry 2:
Here is a relaxed structure of Hg3Sb2H2 from the Alexandria database. Energies are from PBE.

Cell: 6.9746 3.1961 7.2992 Å, 90.00 97.95 90.00°
With the nearest neighbours (Å) after each atom.
Fractional coordinates of all 7 atoms:
Hg  0.0000  0.0000  0.0000  2 H 1.69
Hg  0.2070  0.5000  0.5682  2 H 2.53
Hg  0.7930  0.5000  0.4318  2 H 2.53
Sb  0.4256  0.5000  0.1785  3 Sb 2.94-3.20, 1 Hg 2.95
Sb  0.5744  0.5000  0.8215  3 Sb 2.94-3.20, 1 Hg 2.95
H  0.0858  0.0000  0.7946  1 Hg 1.69
H  0.9142  0.0000  0.2054  1 Hg 1.69

Output
Spin magnetization, μB per formula unit: 0.00
Calculated density, kg/m3: 8731
Uncorrected energy, eV per cell: -14.4

Entry 3:
Here is a relaxed structure of Ta2ZnHg from the Alexandria database. Energies are from PBE.

Cell: 3.0771 4.9614 9.4512 Å, 90.00 90.00 90.00°
With the nearest neighbours (Å) after each atom.
Fractional coordinates of all 8 atoms:
Ta  0.0000  0.0000  0.0000  2 Zn 2.78, 4 Ta 2.80-3.08, 4 Hg 2.92
Ta  0.0000  0.5000  0.2530  4 Ta 2.80-3.08, 4 Zn 2.92, 2 Hg 2.97
Ta  0.5000  0.0000  0.7530  4 Ta 2.80-3.08, 4 Zn 2.92, 2 Hg 2.97
Ta  0.5000  0.5000  0.5000  2 Zn 2.78, 4 Ta 2.80-3.08, 4 Hg 2.92
Zn  0.0000  0.5000  0.7455  2 Hg 2.73, 6 Ta 2.78-2.92
Zn  0.5000  0.0000  0.2455  2 Hg 2.73, 6 Ta 2.78-2.92
Hg  0.0000  0.0000  0.4844  2 Zn 2.73, 6 Ta 2.92-2.97
Hg  0.5000  0.5000  0.9844  2 Zn 2.73, 6 Ta 2.92-2.97

Output
Spin magnetization, μB per formula unit: 0.00
E above lowest polymorph, meV/atom: 164
Calculated density, kg/m3: 14452
DFT formation energy, meV per atom: 298

Entry 4:
Here is a relaxed structure of CrIn4Cl from the Alexandria database. Energies are from PBE.

Cell: 6.1080 6.1080 6.1080 Å, 60.00 60.00 60.00°
With the nearest neighbours (Å) after each atom.
Fractional coordinates of all 6 atoms:
Cr  0.0000  0.0000  0.0000  12 In 3.58, 4 Cl 3.74
In  0.1244  0.6252  0.6252  6 In 3.05-3.06
In  0.6252  0.1244  0.6252  6 In 3.05-3.06
In  0.6252  0.6252  0.1244  6 In 3.05-3.06
In  0.6252  0.6252  0.6252  6 In 3.05-3.06
Cl  0.2500  0.2500  0.2500  12 In 3.58, 4 Cr 3.74

Output
Spin magnetization, μB per formula unit: 4.54
Uncorrected formation energy, meV per atom: 283
Calculated density, kg/m3: 5634

* * * * *

Computed, not measured: crystalline HfSiMo at its relaxed geometry at the PBE level of DFT.

For the polymorph energy (0 for the lowest one), the calculation gives 102.1 meV/atom. Its density is 10.05 g/cm³.

The space group is Pmma (No. 51) and the conventional cell measures 12.1918, 3.5103 and 7.0108 Å, with angles of 90.00, 90.00 and 90.00 degrees. The asymmetric unit holds Hf at (0.0520, 0.0000, 0.2481), Hf at (0.2500, 0.0000, 0.6613), Si at (0.0935, 0.5000, 0.5595), Si at (0.2500, 0.0000, 0.0507), Mo at (0.1187, 0.5000, 0.9284) and Mo at (0.2500, 0.5000, 0.3084).

* * * * *

First-principles (SCAN) data for a crystal of AgPt4 relaxed with PBEsol, as listed in Alexandria.

Results
Uncorrected energy ... -62.38 eV per atom
Size of the total moment ... 0.17 μB per formula unit
Formation energy ... 0.05 eV per atom

Unit cell a=2.745 b=4.824 c=6.294 alpha=74.43 beta=77.41 gamma=73.47
Element x y z (fractional)
Pt (0.396, 0.799, 0.408)
Pt (0.197, 0.407, 0.198)